Seven hours ago:
"So this Howard guy..." Raine Starstraggler, an infamous pirate with the death sentence in twelve systems, trailed. He had his hair arranged in elaborate spikes and the malevolence in his red eyes was matched by the malevolence traced into dark blue skin, a thousand scars and a bent nose. He was clad in some vintage massassi battle armor that covered an enlarged muscular frame, the light combat suits design specifics having long since ceased to be a secret to the galaxy at large. He was seated in the pilot chair, the old heavy frieghter from Corellia, and he was next to the droid merc in the other seat, a heavily modified magnaguard droid that had gotten too independent one day, and killed its master. It was named Neckbreaker.
[Data records, kept here for reference]
'''
A cluster of 14 separate species, C50H116BN2O34 in total, computed with ωB97M-V/def2-TZVPD.

```
203
Properties=species:S:1:pos:R:3
O 21.4213 29.7889 3.9285
O 14.3481 30.9467 15.4229
O 17.2302 30.7335 15.6527
O 15.2210 25.6719 6.9133
O 15.1716 20.6877 10.9470
O 14.0262 21.4934 5.2964
O 15.6154 30.1213 6.2909
O 12.3662 22.4321 7.7290
O 21.6271 26.9520 3.4145
O 17.8948 26.7504 6.3216
O 16.3548 32.9630 14.1921
O 11.4256 25.5199 1.2273
O 13.4193 26.6394 3.0543
O 19.6843 25.4158 14.2417
O 14.0096 33.3492 16.6316
O 16.0312 29.0946 9.5646
O 17.0043 27.2800 10.6598
O 17.6099 27.7252 8.3044
O 17.9831 23.4837 8.9325
O 13.3741 26.6151 14.6223
O 16.5429 23.1209 3.5531
O 16.3297 32.0936 6.7271
O 17.2272 25.3484 15.8915
O 19.3889 21.9620 6.6960
O 15.4867 26.8667 8.8231
O 14.3976 23.4908 11.8652
O 13.9759 33.7014 9.9550
O 17.4613 33.3174 16.4991
O 12.0738 28.3877 12.7322
O 16.5568 27.9576 12.7836
O 15.3008 30.2515 11.3334
O 16.9148 25.4682 1.7707
O 15.6359 31.1673 17.8116
O 12.0630 33.8291 9.0051
N 13.0221 33.2006 9.4075
N 16.5016 30.9087 6.5243
C 12.8424 32.7824 16.1202
C 12.8074 25.5394 0.9687
C 18.3139 22.1135 8.9780
C 22.0983 26.0814 4.4080
C 16.1572 24.4468 3.8442
C 18.1198 33.4757 17.7274
C 18.1996 33.9067 15.4306
C 15.6208 32.8934 12.9799
C 13.5376 26.7072 1.6562
C 17.9232 30.5042 6.4106
C 14.1442 22.8615 10.6240
C 14.2849 29.7315 14.7035
C 17.3149 33.9910 14.1815
C 14.8122 31.2187 18.9605
C 18.3948 21.5089 7.5842
C 14.0659 22.7183 6.0124
C 13.0441 31.2682 15.8755
C 17.2533 26.9312 7.3155
C 14.4944 24.8871 11.8206
C 13.6582 25.8907 15.7949
C 15.9778 22.5400 2.3634
C 17.1134 25.4245 3.1716
C 20.5657 28.8515 4.5130
C 12.0173 26.9671 12.6776
C 16.3348 24.5974 15.1140
C 11.0818 22.6517 8.2400
C 17.6899 30.1745 16.8499
C 12.2252 28.9109 11.4130
C 15.8688 29.3157 10.8560
C 18.0132 26.0273 1.1001
C 13.7988 34.6596 17.0986
C 20.3833 27.5662 3.7022
C 14.2293 27.5627 3.7492
C 17.7572 26.5059 15.2904
C 20.8317 30.5359 2.8999
C 13.9369 21.3830 10.8280
C 18.0370 30.3537 14.5711
C 16.5026 28.0666 11.6039
C 11.1058 24.9053 2.4737
C 17.7927 24.0662 10.1996
C 19.3348 23.3485 6.4053
C 15.7800 20.7752 12.2251
C 12.1216 26.2965 14.0214
C 16.5657 30.1253 17.9336
C 12.8928 31.7127 9.3664
C 12.7139 23.1503 6.5612
C 18.5527 26.2161 14.0267
C 15.8328 26.4088 7.6237
C 20.7101 25.5073 13.2958
C 13.7055 20.3669 6.0805
B 16.5694 27.7442 9.3305
H 17.0922 26.4382 3.5918
H 17.4416 21.5746 7.0428
H 14.1078 30.3801 18.9726
H 12.9439 35.1471 16.6191
H 12.6914 20.4316 6.4835
H 13.8602 31.2273 9.4205
H 11.9762 32.8708 16.7857
H 11.9008 23.2102 5.8266
H 10.7772 23.6862 8.0312
H 16.8730 24.2242 14.2356
H 18.3897 26.9258 1.5942
H 16.6543 20.1366 12.3156
H 21.3075 25.3550 4.6289
H 14.9447 22.3278 2.6530
H 15.1409 24.7412 3.5584
H 15.0425 33.8123 12.8197
H 11.3717 26.7347 14.6893
H 13.0333 27.6134 1.2966
H 16.9319 27.1905 15.0739
H 13.8204 28.5818 3.7593
H 14.6307 26.1946 16.1779
H 18.6549 24.0593 10.8735
H 16.3788 24.4951 4.9113
H 15.3976 31.0922 19.8825
H 18.3666 34.9674 15.6625
'''
[Back to the text]
"Yes? What of him?" The Droid asked, its synthetic growl echoing in the small cockpit.
"He's not like your usual pirates, I heard. Heard he survived a fight with one of those One Sith Inquisitors..."
" no easy feat..." the droid confessed. "How did he do it?"
"They say he's seen nearly every trick in the book...that's why they picked him..."
"I heard he's a walking doom magnet" said Emma, the youngest pirate on the team, a woman of Haruun Kal origin, clad in dark leather armor, armed with a vibromace, her hair done in one long black braid, studded with jewels. She was tall and muscular herself, a veteran of a hundred ship to ship raids. They were all the most vicious, dangerous sorts they could find on such short notice. The Jedi guarding their payday was said to be that dangerous.
"I've heard thousands of people have tried to kill him, to no avail..." Emma explained, hand resting on her mace.
"So he's a badass...right...nice to know..." Raine complained. "So they put him in charge of all of us just because he happened to be the last one standing a couple of times? Gimme a break.
"Careful..." the droid warned. "He'll hear you..."
"Ladies and Gentlemen, front and center!" Howard called out from the main hold, already suited in his thermal resistant space suit, which looked gold chromed from faceplate to suit layer. He was armed with a large vibro-cutlass, a stun baton, and extraordinarily powerful fifty caliber revolver with vented barrels as well as a tranq gun. They were all armed with tranq guns. Howard didn't want to kill anyone taking the ship. Not out of mercy...Jedi could sense suffering and death. No death or suffering, less chance of detection.
The three gathered in the hold. The chiss man had Howard's eye in particular...he chafed taking orders. Ordinarily Howard would have refused to work with him based on that alone...but there simply no one else as qualified available.
"I still think this plan is fething suicide." Raine said, eyeing Howard suspiciously. "C'mon, blasting our own ship to hell right as the transport arrives? And then praying they'll have an attack of conscience and look for survivors?"
"They're Silver Jedi, they'll go for it..." Howard assured Raine. "They're gullible like that...okay, does everyone have the plan?"
"Once the ship is in range, be picked up as a survivor during the sweep. Neckbreaker uses the distraction to attach a emp device to the hull itself, take out their power and communications temporarily. You and Raine slip aboard, by cutting your way into the hull..." Emma answered.
"You do know if this goes south..." the Droid spoke, "We're adrift..."
"It won't..." Howard assured them. "They always wanna play hero...always. Can't help themselves."
"It's also a nice way of knocking us off to get our pay for yourself, Howard." Raine sneered.
Howard did a deliberately sensual jiggle solely to irritate him. "Well I guess you'll just have to be the best and not die, won't you?"
Raine snorted at this, but said nothing at this but said nothing else.
"Get your suits on. We scuttle this ship in twenty."
"What do we do for heavy weapons?" Neckbreaker asked.
"With as much bullion as these guys were about to take aboard? Trust me, They'll have heavy weapons." Howard assured them in jolly voice.
The others looked at each other and shrugged.
"I have done way crazier chit than this." Howard emphasized. "We'll be long as you follow the plan to the letter."
Fifteen minutes later...
Clad in reflec coated space suits, with the exception of Neckbreaker, the four depressurized the ship by opening the hatch, the four attached by cable.
Black space greeted them as they went adrift, watching their ride go adrift. Howard, in front of the line, held the trigger and sent the signal, just as he watched the other frieghter, heavily armed and armored, drop out of hyperspace. Emma was the only one unarmed.
The Frieghter sent a distress signal just as it blew. Howard used the special microthrusters on his suit's arms to manuver into the debris field, picking the largest chunks, cutting themselves adrift from Emma to hide by the largest chunks. Emma activated her distress beacon just before it blew, while the others had to contend with, in addition to hiding, very fast moving pieces of ship shrapnel. Howard had to carefully maneuver another chunk from behind them to avoid razor sharp pieces of ship. Howard watched with a rangefinder, a piece of shrapnel gliding by him, the other frieghter shining lights on the adrift woman.
Howard used his arm jets to steer the shrapnel they hid behind under the ship hull and drifted from their hiding object, attaching to the hull, where Neckbreaker attached the rectangular EMP generator to the hull as a very low powered tractor beam towed Emma in.
"Okay, droid, do it!" Howard order, launching off the hull at the same time he and Raine did.
An azure surge of energy took out the ship power, and the three steered onto the hull towards an airlock, where Howard used a plasma torch to cut open the lock, sliding it open then sealing it once everybody was inside, then proceeding to cut open the other lock, their magboots clicking to the floor as gravity had been taken out. Everyone took out their silenced tranq rifles and proceeded to sever the cable attachments to one another, going in through a darkened vessel, past what looked to be engineering, and shooting the first three officers yelling and floating helplessly in mid air, pulling their unconscious bodies down and securing them to railing close to the ground.
"Remember, same drill with everyone you meet. Emma, you good?" Howard whispered into his link.
"Med bay and comms our ours, moving to secure cargo section..." Emma answered.
"Move. Search and clear. There are only twenty eight people aboard. This ship is only three times the size of a Corellian YT. It will be completely ours in five minutes, understood?" Howard asked. The others nodded and began the rapid clearing process...
Twenty minutes later....
After gaining control of the frieghter, Howard had disguised himself as one of the Soldiers sent to escort the transfer of bullion from the wreck, dressed now in blue and black garb with heavy chest armor, his face uncovered and clean shaven, hair trimmed and combed. This would be the most difficult phase of the objective.
But Howard had experience ambushing enemy personnel, even Force Adepts. It was all a matter of forcing out doubt and malice. Hiding it.
**Someone pasted molecular data at this point:**
=====
# 1
=====
Howard readied the heavy slugthrower assault rifle he had found. Emma was equipped with the chaingun they had found. Neckbreaker had seized control of piloting and was heading down to the planet surface, while Raine was drawing the strange symbols of odd, crooked looking red runes in a strange, glowing blue chalk.
"What is this stuff?" Raine asked, eyeing the old man who cleaned up surprisingly well as he sheathed his vibro cutlass with obvious suspicion. Howard did not carry himself like other pirates. He didn't curse. Didn't get drunk or do drugs. Didn't pick fights for no reason. Screamed military bearing. The ease and swiftness with which he had directed them spoke much on how often he had done this. Raine's own dad had been in the military. Used to tell him all these scary stories about encountering enemy units dressed as friendlies, with flawless knowledge of the other side's tactics and habits. Raine realized Howard was very, very dangerous. Crazy also, but dangerous.
"Supreme victory consists of winning before having to fight in the first place, Sonny..." Howard answered with a grin, going over to examine his work, noting Raine, however distrustful he was, could clearly focus when he had to.
"The key to supreme victory is manuevering the enemy into a position of vulnerability..." Howard explained, crouching down to examine the wards.
"That chalk you got there..." Howard explained. "Nightsister stuff. Bought it off one. Take some chalk, infuse it with spirit ichor, curse it with blood magic, write the proper wards down, and let the enemy walk into it. Weakens them badly.
"What if she doesn't want to come aboard?" Raine asked.
"We adjust. I have a back up plan..." The Pirate answered. Stay in that space suit and keep that shotgun you found happy. Cut the ship lights when you see her approach...your timing must be perfect." Howard warned the chiss.
"Ehh, relax..."
Howard snorted, rose as the ship landed.
"Remember, hide your intent like I showed you. Think about something, anything other than what you are doing...she'll have trouble reading your intent that way.
Emma, who had concealed her features underneath a helmet with an opaque face shield turned to Howard. "How deadly is this Jedi?"
"Definitely not be ready for anything..." Howard answered. "Look alive, People!"
Seven hours later...
Syd, still warped by what she had been exposed to, sneered as she felt the mental presence of [member="Wu Yeoh-Mei"] reach out. She was very far away. Syd had not even known she was on the planet, or even in the area. She would not stop her from taking revenge on the pirate. She would roast that pirate, cook him in his own juices.
Her limits prevented her from replying back with telepathy, but Wu was going to get hurt if she got too close. Syd had no control, absolutely none.
That relic had freed her.
Syd thought she spotted Howard fleeing into an upper deck, towards the ancient hangar of the Sith vessel. She flew at a shadow at high speed, screaming for blood, the heat she emitted crisping the ancient paint still on the walls as she passed by it.